View Full Version : Mental

29-05-08, 14:41

/*
(1)
*/

I was just wondering who here is experiencing the same thing as me. For a while now my brain feels like it isn't working properly. I've heard lots of people talk about 'brain fog' and it seems like this could be what is affecting me.

Basically my head just doesn't feel clear at all. I don't feel as sharp or mentally alert as I used to, and have trouble concentrating. My short term memory has gone out the window (though it wasn't the greatest before) and I make silly mistakes when doing things. I often get my words muddled up when speaking or can't verbalise what I'm trying to say.

Added to that my perception of everything feels a tiny bit altered. Its almost like a feeling of very mild intoxication, or having a slight head cold. All this is combined with a woozy, giddy feeling I have 24/7 and has left me feeling rather strange.

I've seen anxiety symptoms that kind of match this but can't shake the thought that I've got some terrible condition that is rotting my brain from the inside. I start a demanding career in 9 months and am scared that if I don't shake this by then it will seriously affect my ability to perform.

Does anyone else here have the same affliction and do you have any tips or advice? Would going on some kind of medication help alleviate these symptoms?

Thanks a lot

Edit: As if to prove my point I started altering the title of the thread, got distracted and posted without finishing what I was doing!

29-05-08, 15:44
Am personally taking beta blockers and venlafaxine anti depressant and normal days if there is such a thing feel that brain fog syptom buts its more like just brain just dont percieve whats real anymore like mind check the same thing over and over again and dont get anywhere just confused.

Feel so altered and debranched disconnected feel like am comatized.
Exercise helps with this and so does getting fresh air.

Not sure if take meds but like all meds they have side effects and make make condition worse.

milly jones
29-05-08, 20:11
hi hun,

my brain gets totally confused sometimes and concentration wanders

i write or say wrong words or even read then, particularly swopping words or negatives for positives in sentences. this often leads to misunderstandings.

i also walk into mens toilets cos i havent read the picture properly, funny afterwards

i loose the car in carparks etc

i put all of this down to anx

my doc said that the brain is like a jug full of water, most of time non spills, but with anx it is permanently lapping over the sides, and u just cant keep it all in

hope that helps a little


29-05-08, 20:42
Hi Gman,
Yea I can totally relate to that,it's scarry isn't it.
I get silly thoughts as well,not about suicide or anything like that, just daft stuff, been getting it the past few weeks - It does go a bit as the day goes on tho.
I've been on 2mg Diazepam since Feb. and I wondered if it's something to do with that.

Misplaced molecular data >
'''
# 1
# C37H95N5O12S2

A cluster of 10 separate species, C37H95N5O12S2 in total in a non-equilibrium geometry (wB97M-V/def2-TZVPD, the OMol25 dataset).

- Net charge: 0
- 2S+1: 1
- Highest occupied orbital energy: -8.53 eV
- Largest force on an atom: 3.47 eV Å⁻¹
- Structure (SMILES): O=S1(=O)CCCC1.O=S1(=O)CCCC1.COC[C@H](C)N.COC[C@H](C)N.COC[C@H](C)N.COC[C@H](C)N.COC[C@H](C)N.CC(C)O.CC(C)O.CC(C)O
- LUMO: 0.012 Ha

```
151
C37H95N5O12S2, DFT wB97M-V/def2-TZVPD
O -34.277 -12.146 -39.591
S -33.390 -11.062 -39.212
O -33.831 -9.706 -39.386
C -32.782 -11.457 -37.539
C -31.340 -11.950 -37.707
C -31.164 -12.440 -39.139
C -31.814 -11.414 -40.065
H -33.445 -12.013 -36.886
H -32.645 -10.458 -37.115
H -30.644 -11.140 -37.479
H -31.050 -12.716 -36.986
H -31.518 -13.443 -39.376
H -30.083 -12.425 -39.305
H -32.026 -11.683 -41.093
H -31.120 -10.573 -39.992
O -35.112 -16.036 -30.873
S -35.383 -16.943 -29.754
O -34.594 -18.139 -29.607
C -35.102 -15.960 -28.238
C -36.376 -15.060 -28.109
C -37.475 -15.687 -28.974
C -37.117 -17.097 -29.402
H -34.116 -15.510 -28.242
H -35.258 -16.704 -27.454
H -36.613 -14.727 -27.101
H -36.174 -14.113 -28.617
H -37.485 -15.103 -29.891
H -38.432 -15.513 -28.484
H -37.543 -17.526 -30.310
H -37.153 -17.820 -28.585
C -36.471 -8.638 -32.804
O -36.631 -7.216 -32.911
C -35.502 -6.451 -33.160
C -35.809 -4.949 -33.220
C -36.064 -4.366 -31.794
N -36.861 -4.511 -34.112
H -37.485 -9.024 -32.765
H -35.975 -8.748 -31.837
H -35.923 -9.002 -33.663
H -34.759 -6.575 -32.362
H -35.010 -6.649 -34.119
H -34.888 -4.510 -33.618
H -36.821 -5.037 -31.380
H -36.465 -3.353 -31.740
H -35.151 -4.289 -31.198
H -36.847 -3.567 -34.462
H -37.779 -4.618 -33.697
C -37.383 -14.016 -39.438
O -36.948 -14.834 -38.391
C -35.542 -14.927 -38.300
C -35.152 -16.200 -37.565
C -35.702 -16.124 -36.139
N -33.711 -16.393 -37.544
H -38.436 -14.109 -39.702
H -36.866 -14.183 -40.392
H -37.202 -12.958 -39.220
H -35.052 -14.795 -39.274
H -35.149 -14.037 -37.785
H -35.719 -17.030 -37.996
H -35.581 -15.158 -35.660
H -35.334 -16.920 -35.488
H -36.761 -16.387 -36.206
H -33.102 -16.033 -38.260
H -33.306 -16.239 -36.638
C -37.242 -12.676 -31.072
O -38.474 -13.191 -30.643
C -39.561 -13.090 -31.557
C -39.834 -14.336 -32.379
C -38.744 -14.481 -33.456
N -41.127 -14.147 -33.108
H -36.556 -12.635 -30.224
H -37.262 -11.620 -31.369
H -36.772 -13.233 -31.885
H -40.465 -12.927 -30.951
H -39.547 -12.110 -32.048
H -39.916 -15.259 -31.807
H -37.836 -14.907 -33.012
H -38.363 -13.529 -33.831
H -39.057 -15.173 -34.234
H -40.969 -13.221 -33.514
H -41.865 -13.978 -32.424
C -33.813 -11.077 -31.554
O -34.094 -11.726 -32.800
C -33.087 -12.605 -33.254
C -33.344 -14.056 -32.883
C -32.173 -14.941 -33.358
N -34.582 -14.666 -33.378
H -34.801 -10.855 -31.158
H -33.385 -10.103 -31.810
H -33.196 -11.595 -30.824
H -33.127 -12.661 -34.355
H -32.102 -12.236 -32.963
H -33.387 -14.073 -31.783
H -31.241 -14.365 -33.342
H -32.379 -15.108 -34.411
H -32.178 -15.757 -32.644
H -35.109 -15.120 -32.642
H -35.146 -13.914 -33.769
'''

29-05-08, 20:53
I also get the woozy giddy feeling like I've had a drink even though I don't touch the stuff, can't say if meds will help with this as I'm too scared to take any (another one of my phobias).

29-05-08, 21:10

I have the woozy, giddy feelings alot of the time.

My head doesnt feel right since i had the anxiety.

I have got so forgetful lately to

love mandie x

30-05-08, 10:39
Hi, thanks for the replies.

Do you feel like this all the time or is it just when you are anxious?

I have been feeling like this 24/7 recently and that's what I find concerning.

Even when I feel perfectly calm and relaxed my head is all fuzzy, I think that's what's most concerning.

30-05-08, 10:49
Hi there, what you're describing is what's calleded depersonalisation or derealisation. It goes hand in hand with symptoms of stress an anxiety 99% of the time so it is normal and yes, it will diminish when you get a handle on your anxiety. Hold on in there mate

Siobhan x